== Source ==
____________
VASP calculation (GGA-PBE) on crystalline Pm3RhPb2 at its relaxed geometry.

Geometry as CIF:
```
data_Pm3RhPb2
_chemical_formula_sum 'Pm12 Rh4 Pb8'
_space_group_name_H-M_alt 'P n m a'
_space_group_IT_number 62
_cell_length_a 12.8387
_cell_length_b 4.4767
_cell_length_c 12.0676
_cell_angle_alpha 90.00
_cell_angle_beta 90.00
_cell_angle_gamma 90.00
loop_
_space_group_symop_operation_xyz
'x,y,z'
'-x,-y,-z'
'-x+1/2,-y,z+1/2'
'x+1/2,y,-z+1/2'
'x+1/2,-y+1/2,-z+1/2'
'-x+1/2,y+1/2,z+1/2'
'-x,y+1/2,-z'
'x,-y+1/2,z'
loop_
_atom_site_label
_atom_site_type_symbol
_atom_site_fract_x
_atom_site_fract_y
_atom_site_fract_z
Pm1 Pm 0.0520 0.2500 0.1316
Pm2 Pm 0.1207 0.7500 0.5424
Pm3 Pm 0.2434 0.2500 0.7904
Rh1 Rh 0.1285 0.2500 0.3674
Pb1 Pb 0.0052 0.2500 0.6923
Pb2 Pb 0.1858 0.7500 0.9997
```

Values from the calculation:
**Calculated density**: 9.12 g/cm³
**Final energy**: -5.4624 eV per atom
**M_tot**: 0.000 μB/f.u.
**Energy of formation**: -0.63 eV/atom
**E above lowest polymorph**: 0 meV/atom


Compound: Nd2Dy3Tm6Pb
Source: the Alexandria database
Functional: GGA-PBE
Structure: optimized geometry

## Properties
**Calculated formation energy**: -0.78 eV/f.u.
**DFT total energy**: -4.55 eV/atom

```
Nd2Dy3Tm6Pb
1.0
3.031 -5.252 0.000
3.031 5.252 0.000
____________
== What to do ==
Work out how many lines earlier on have the word "Pb2" in them; a number is enough.
== Solution ==
1